Thursday 26th December
Bronwen and I both slept through our alarms, but fortunately a garbage truck awoke me shortly after and I got up in a rush to take the rubbish out.
I woke Bronwen and we did the last of our packing as fast as we could, and managed to leave around half past eight, only half an hour later than planned.
Traffic was busy but not too bad—I managed to sit close to the speed limit most of the way. We got to Woodfordia around half past ten and were relieved to find that our tent was still where we’d left it. A very hot hour later and we’d managed to get all the stuff from the car to the tent and put the tarp up properly. Then, to our surprise, we found a spot to park the car only a short distance from the tent.
The tent up, we hurried down to the Green Room, where I got a lecture on not taking photos (it’s the special place where artists can do whatever they want (which I assume means other patrons), without fear of it turning up in the media), and then got told I could (because there weren’t any artists there at the time), and then Bronwen began her shift.
I popped in at the shop, and then while Bronwen was working I got a veggie burger and bumped into David, the MYOB man. Bronwen and I walked up to the tent for a lunch of corn flakes while the milk was still cold, which nearly killed me in the heat (the walking up the hill, not the corn flakes).
After Bronwen went back to work I helped out at the festival shop and trained cashiers. Unfortunately the girl I’d wanted to swap shifts with said she’d get back to me but that the answer would probably be no.
After both Bronwen and I had finished our work, we bought a lasagne from Spaghetti Junction, wandered around for a bit, and then had an early night, getting to bed on the dot of ten.
Friday 27th December
I managed to sleep in. The tent began to get hot, but considering it was sweltering by six other years, our spot this year seems good. My sleep, though, was a bit broken. I’m not sure why, but sleeping on a hill probably didn’t help, and our airbed is only just pumped up enough, but we’re both too lazy to bother carrying it all the way to the car to pump it up more. If one of us lies on it we hit the ground, but if both of us lie on it, it’s ok.
I had cornflakes for breakfast, and then walked down to the festival. Bronwen went to a “Let’s get so hot we’ll die” workshop (apparently it was a body and performance workshop, which is ironic considering that’s what you wouldn’t be doing after getting that hot). As I’m not insane or suicidal, I wandered off to The Grande, where I watched The Twoks.
After that we went to Fine Earth Foods and had a juice while a giraffe walked by, then went to Blues Town and watched Hat Fitz and Cara, and then Bronwen went to work.
I watched Vidwan at The Bazaar, then bumped into a girl I’d met at Vollywood yesterday at a Thai place getting lunch, so we had lunch together.
After lunch I rushed to The Palace, where I watched “Cartoon Shenanigans” with Kit n Kaboodle. It was quite short, but I got there just as the queue had finished entering, so didn’t have to wait at all.
After the circus I watched some dancing at Folklorica: “Swinging, Tapping and Clogging” with Davydd McDonald, Empire Swing, and Whitetop Mountaineers. I then tried to go to another circus, but it was already full so I watched a bit of “The Dancing Heart of Africa” with the Gaada Band from Oromia instead. While I was there it began to rain, and Bronwen called to tell me there was a hail warning. Fortunately no hail eventuated, and the rain stopped enough for Bronwen and I to go get some lunch. I had a langos and Bronwen had a Ratatouille crepe.
I then had to go to work.
Work was the usual chaos you’d expect from the first day, complete with a failure of the shop lights, which conveniently happened during the Welcome Ceremony, so we all rushed up there—managing to get there not too long after it had started. It was insanely busy and security had closed areas down, but fortunately I’d been here before so knew about the top roads, and managed to find a relatively un-busy place with a good view.
After work I watched a bit of Hey Geronimo at the Bazaar, then met Bronwen, and coincidentally, again the girl from Vollywood, at The Concert Stage where we watched “Indian Stories” with DeepBlue and Siddhi Yadev—probably the best act I’ve seen so far.
After this we watched Kavisha Mazzella at The Duck, Nova Heart and later Kingfisha at The Grande, and some vaudeville at The Palace (Alex Mizzen, Alexander W, Twisted Hitch, David Trappes and Lost In Translation Circus), and the last act of the night, “His Merry Men” at the Bazaar.
I went to bed at 2:30 AM.
Saturday 28th December
I slept in miraculously late by sweltering Woodford standards. It was wonderfully cool. I was told later that it had rained a little in the morning so that was probably why.
Last night we found big pockets of rain had caught in the tarp through the day, so I rejigged things to try and stop that from happening again, Bronwen and I finished off the last of our milk in our breakfast cornflakes just as the ice in the esky finished melting, and I made my way to the shop—via the general store for a chocolate milk—to start my volunteer shift.
Data records, as found in the file:
- - -
(1)
Density functional theory data (wB97M-V/def2-TZVPD) for the molecule C23H26N2O6 in a non-equilibrium geometry.

Positions of all 57 atoms, in Å:
C1 8.84456 0.85931 3.02083
O1 7.58266 1.49019 3.05289
C2 6.48883 0.94818 2.47231
C3 5.33168 1.72028 2.61213
C4 4.12230 1.33250 2.08930
C5 4.02027 0.12766 1.38647
C6 2.79536 -0.34902 0.80919
C7 1.58975 0.26120 0.87523
C8 0.42479 -0.30671 0.26041
O2 0.60014 -1.44151 -0.38291
C9 -0.84646 0.29565 0.33124
C10 -1.08196 1.54824 1.02639
O3 -0.27293 2.23748 1.61597
N1 -2.40037 1.98203 0.98891
C11 -3.48343 1.38674 0.39816
O4 -4.58822 1.87090 0.44130
N2 -3.20772 0.19414 -0.23884
C12 -4.32085 -0.46850 -0.90655
C13 -4.49295 0.05578 -2.33626
C14 -5.62997 -0.63386 -3.03708
C15 -5.42613 -1.45882 -4.05470
C16 -6.51350 -2.17200 -4.79780
C17 -7.84310 -2.11288 -4.05161
C18 -8.08053 -0.69726 -3.53923
C19 -7.00896 -0.34136 -2.51284
C20 -1.95486 -0.37214 -0.32104
O5 -1.82995 -1.43515 -0.94359
C21 5.17809 -0.64988 1.24195
C22 6.40099 -0.27228 1.76557
O6 7.53882 -1.02696 1.63244
C23 7.46496 -2.24808 0.93863
H1 9.50892 1.53152 3.56350
H2 9.20746 0.73421 1.99913
H3 8.82282 -0.11195 3.51833
H4 5.42861 2.64655 3.15597
H5 3.25783 1.96102 2.22290
H6 2.85691 -1.28951 0.27487
H7 1.45200 1.19379 1.39281
H8 -0.29122 -1.72480 -0.76235
H9 -2.58463 2.85750 1.46653
H10 -5.21574 -0.26515 -0.31765
H11 -4.10968 -1.53871 -0.92287
H12 -3.56292 -0.10920 -2.88401
H13 -4.68580 1.13090 -2.28720
H14 -4.42106 -1.63746 -4.41361
H15 -6.62175 -1.70930 -5.78523
H16 -6.21871 -3.21146 -4.96461
H17 -7.81575 -2.79985 -3.20324
H18 -8.65577 -2.42391 -4.71101
H19 -8.03126 0.00204 -4.37636
H20 -9.07095 -0.61553 -3.08740
H21 -7.17684 -0.92392 -1.60130
H22 -7.08002 0.71372 -2.23898
H23 5.09460 -1.57810 0.69912
H24 7.16737 -2.10278 -0.10460
H25 8.47329 -2.65834 0.97016
H26 6.77596 -2.94694 1.42328

Relative energy (zero: lowest compared OMol25 entry of this formula, charge and spin) in kJ/mol: 227.37
M in u: 426.47
Charge: 0
HOMO level in eV: -7.994
Electronic energy in Ha: -1453.0331
Orbital gap in Eh: 0.264
SMILES: COc1ccc(/C=C/C(O)=C2\C(=O)NC(=O)N(CCC3=CCCCC3)C2=O)cc1OC

***

(2)
Density functional theory data (wB97M-V/def2-TZVPD) for a structure of composition C23H26N3O3Sc.

Positions of all 56 atoms, in Å:
Sc1 0.02511 -0.07458 -0.62625
C1 4.29218 -1.77184 0.68624
N1 3.52369 -0.94664 1.62947
C2 4.08824 -0.77764 2.97592
C3 2.39705 -0.39106 1.27780
O1 1.87307 -0.55579 0.13812
C4 1.63485 0.48657 2.26699
O2 0.64231 1.20850 1.55156
C5 0.91355 2.58141 1.30023
C6 0.50471 2.89022 -0.13122
O3 0.17760 1.91635 -0.87194
N2 0.50387 4.12368 -0.55309
C7 0.07796 4.45679 -1.92083
C8 0.81233 5.25793 0.32665
H1 5.29867 -1.36450 0.60938
H2 3.81557 -1.76232 -0.28628
H3 4.34711 -2.79406 1.05611
H4 4.74879 -1.61747 3.16941
H5 3.30905 -0.78403 3.73407
H6 4.67124 0.14085 3.04766
H7 2.30099 1.15413 2.81101
H8 1.12154 -0.14466 2.99439
H9 1.97671 2.80293 1.42034
H10 0.34715 3.19601 2.00015
H11 -0.03838 3.55343 -2.50638
H12 0.83300 5.09502 -2.37393
H13 -0.86933 4.99340 -1.88425
- - -
The data records stop here:
I got to the festival shop not long after midday, for my half past twelve shift. Unfortunately the shop is rapidly becoming an unpleasant place to volunteer. The volunteer magic and communal fun we used to have under Jade has been firmly killed. Here is a good example of why.
As in previous years, there’s a large overlap between shifts. This has meant that most people work a little less than their official hours require, and helps greatly when people are a bit late, or something goes wrong and people work overtime—yet still end up doing less hours than they’d expected. Basically, it worked well. Except today the supervisor I was relieving didn’t want to leave, as she felt she should stay her allocated hours. I didn’t mind, so we both hung around, and the shop boss came out and asked us what we were doing. When she found out there was a significant overlap in the shifts she went and ordered the finance boss to change the rest of the festival’s rosters to “fix” this. When she came and told us I explained that the current system had worked well for several years now, and that changing the rosters halfway through—for the third time—wasn’t going to work. She said she’d been ordered to do it so had, and we could sort it out between ourselves, and left.
I’m worried I may have upset the supervisor I was taking over from, because, aside from the roster overlap absurdity, the first thing I did when I got to my shift was arrange for a fan to be moved to the cashiers—who had been melting all morning.
A bit less than five hours later and I was free. I bought some nachos and met Bronwen at the Concert stage to watch “The Great Green Debate”, which was hilarious.
After that we saw Latche Roma at the “Roma Gypsy Fire in the Fiddle” act, Museum Collective and Shellie Morris.
We had a haloumi salad dinner, bought some iced coffee from the general store and walked up to the amphitheatre where we watched Babylon Circus—and some nearby teenagers who decided it was a good idea to take most their clothes off and dance around, and were probably more entertaining than most of the professional dancers.
After the long walk back the festival again we watched Barry Morgan and his World of Organs—which would probably have been really good had the projector worked, but seeing as it didn’t (which he pointed out every time he had to skip large portions of his act sure to it not working) it was only relatively good. You’d think they’d have a backup projector.
Then, on the way to see Dubmarine, we stopped off at the Joy Luck Club to watch Sabrina D’Angelo and get very unusual “body poetry”, then after that the fantastic Brisbane based Rivermouth, who painted us an auditory adventure in their hour long apocalyptic mix of music and fantastic poetry.
Bronwen was feeling tired and somehow managed to fall asleep during Rivermouth, so we walked to Vollywood to get our hats, watched a little of Kingfisha at The Bazaar and Dubmarine at The Grande, then walked to the tent, showered, and went to bed at the respectable time of half past two, listening to Wild Marmalade as our tent is at the top the natural amphitheatre in which The Grande sits.
Sunday 29th December
Bronwen got up to get to her 7:30 shift, and I tried dozing until eight, then some more dozing until a bit past eight, then I got an SMS from another supervisor wanting to swap shifts, then I rushed to the festival shop via the general store for my morning chocolate milk (which was a mistake as I got caught in the slow bag checking queue on the way back in). My shift was uneventful but hot.
After my shift, I went and saw Ben Caplan and The Casual Smokers and The Quarry Mountain Dead Rats, before I met Bronwen at Govinda’s, had my lunch there, then saw a few things (Babylon Circus, Chance Waters) but it was too hot so we headed up to the tent and put the air bed out on the grass and tried sleeping there. I met a friend I hadn’t seen for quite a while on the way there, who now has a baby. Stopped and had a chat.
Bronwen and I walked back down to the festival after it got cooler, and shortly before a huge lightning storm (and a few power failures) hit. We watched The Basics, Zoe K, GANGgajang, The Crooked Fiddle Band, and The Bombay Royale before heading up to the amphitheatre, where the storm dropped lots of water on us while we were watching Clare Bowditch.
Nevertheless, we stayed on as Bronwen wanted to watch Beth Orton, though we left the amphitheatre after that and watched the Hillbilly Hoe Up with Hat Fitz & Cara, and the Illuminescence Party with Michelle Xen & The Neon Wild and Nova Heart, before going to bed late.
Monday 30th December
Bronwen and I had a nice sleep in, wandering down to the festival a little before midday and getting a honey pumpkin and feta salad for lunch, along with some milk for breakfast.
We started off our seeing-things part of the day by seeing Lost Clog, then Claude Hay, Lovecase Suitnut, Mo Kenney, Martin Pearson with a talk on “Harry Potter and that Vague Sense of Plagiarism”, then—Bronwen having gone to work—I went to some strange things at the “Eurovision Music and Dance Spektacle”, as well as Vidwan, Ange Takats, The Barleyshakes, and finally Sam Amidon—at which point I had to go to work.
I worked the late shift tonight, from half past eight through to whenever everyone had finished at the shop. The shop shuts at midnight, so a little after midnight. After work Bronwen and I saw (and later, heard from our tent) Kinfisha and Dubmarine at The Grande, as well as a few “interesting” acts at the Midnight Creatures Cabaret, and then The Jazz Party after that.
We got to bed at half past three.
Tuesday 31st December
Having gone to bed at 3:30 last night, I was a little tired, and the details are a little hard to remember. I watched Kangaroo Moon around midday, followed by Tim Finn, The Sojourners, CR Avery, Andrew Clermont’s Festival Arvo Supper Club, and then work—I had the evening shift today, from around half past four through to nine o’clock.
After work I watched the rather funny and slightly inappropriate Festival of Fortune and then went up to the amphitheatre with Bronwen, where we watched Dubmarine, Breabach, Rachel Semanni, Peatbog Færies and Wild Marmalade, and held the three minutes of silence, standing holding candles in silence surrounded by thousands of other people doing the same. The silence was broken by someone letting off a fire cracker somewhere in the festival—a proper sounding one too, and we all assumed that was the end of the silence, instead of the traditional bell. It wasn’t until later that I found out it wasn’t.
After the amphitheatre Bronwen and I went and saw Babylon Circus, then wandered around the festival, eventually ending up at the hilltop for the dawn ceremony sometime before dawn—which from memory was quite early, around four o’clock.
Wednesday 1st January
Bronwen and I saw in the New Year (or at least, the first sunrise of the New Year) up on the hilltop, with some Buddhist monks chanting, and a lot of hippies—and people pretending to be hippies—doing their hippy things. It is quite a nice way to see in the New Year.
Having not slept at all last night, I went to work the early shift at the Festival Shop. General insanity ensued. I finished work sometime around one o’clock, and went and saw the Festival Director’s Report with Bronwen, then Zoe K, Rose Cousins, Bootleg Rascal, His Merry Men, and Ben Caplan & the Casual Smokers. Both Bronwen and I were quite tired by this stage.
Having still not slept, Bronwen and I made our way to the Fire Event at the amphitheatre. I think this year’s was perhaps one of the best—the story was almost understandable (something to do with hearts and monsters, and the monsters that get in your heart).
After the spectacular fire event, we went and saw Andrew Clermont’s Festival Supper Club, Kingfisha, didJital, The Crooked Fiddle Band, and CC The Cat, before collapsing into bed at 3:30 AM.
Thursday 2nd January
Bronwen headed off early to work, and I eventually followed her. I spent the morning helping pull down the Festival Shop. It was very hot, and I did a lot of walking around the (now mostly closed and semi-dismantled) festival getting things.
After a quick lunch, and well into the afternoon, Bronwen and I had both finished working and went and pulled the tent down and packed all our stuff into the car.
We wandered back down to the festival in time for the after party. I’ve developed a terrible sore throat. We left after midnight, getting back to Brisbane very late. We went straight to bed.